## Exercise
Set down the material further below without altering anything.
## Given
[1]
The molecule C3H8O4, computed with ωB97M-V/def2-TZVPD.

* relative energy (zero: lowest compared OMol25 entry of this formula, charge and spin): 1.137 eV
* lowest unoccupied orbital energy: 0.84 eV
* frontier orbital gap: 10.980 eV
* SMILES: OCCOC(O)O
* spin multiplicity: 1
* HOMO energy: -10.1 eV

```
15
Properties=species:S:1:pos:R:3:nbo_charge:R:1
O 1.395 0.608 1.393 -0.72
C 1.794 0.080 0.151 -0.08
C 0.682 0.085 -0.905 -0.10
O -0.387 -0.772 -0.542 -0.57
C -1.639 -0.141 -0.222 0.62
O -2.587 -1.123 -0.145 -0.70
O -1.446 0.553 0.949 -0.73
H 1.046 1.500 1.263 0.47
H 2.656 0.630 -0.251 0.16
H 2.093 -0.950 0.352 0.19
H 0.314 1.107 -1.051 0.17
H 1.090 -0.284 -1.853 0.19
H -1.964 0.576 -0.989 0.14
H -2.235 -1.855 0.385 0.48
H -0.812 -0.015 1.464 0.49
```

***

[2]
The molecule C5H9N2, computed with ωB97M-V/def2-TZVPD.

* relative energy (zero: lowest compared OMol25 entry of this formula, charge and spin): 0.931 eV
* lowest unoccupied orbital energy (spin up / spin down): 1.11 / 1.08 eV
* frontier orbital gap (spin up / spin down): 5.214 / 9.048 eV
* spin multiplicity: 2
* HOMO energy (spin up / spin down): -4.1 / -8.0 eV

```
16
Properties=species:S:1:pos:R:3:mulliken_spin:R:1
C -0.977 -0.319 -1.957 0.00
C -0.358 -1.060 -0.801 0.01
C -0.010 -0.268 0.358 -0.02
C -0.586 0.873 0.819 0.03
N 0.424 1.526 1.522 0.10
C 1.499 0.638 1.619 0.66
N 1.277 -0.494 1.006 0.22
H -1.492 0.588 -1.624 0.00
H -0.174 0.018 -2.608 0.00
H -1.788 -0.818 -2.564 0.00
H 0.468 -1.655 -1.180 0.00
H -1.083 -1.762 -0.461 0.00
H -1.627 1.131 0.625 0.00
H 0.120 2.015 2.272 0.02
H 2.438 0.885 2.142 0.00
H 1.869 -1.300 0.832 -0.01
```

***

[3]
A cluster of 13 separate species, C26H78O26 in total, computed with ωB97M-V/def2-TZVPD.

* relative energy (zero: lowest compared OMol25 entry of this formula, charge and spin): 5.191 eV
* lowest unoccupied orbital energy: 0.27 eV
* frontier orbital gap: 9.875 eV
* spin multiplicity: 1
* HOMO energy: -9.6 eV

```
130
Properties=species:S:1:pos:R:3:mulliken_charge:R:1
C 4.651 0.575 -0.970 0.12
C 6.059 1.205 -1.134 -0.49
O 6.948 1.324 0.004 -0.54
O 4.133 0.185 -2.257 -0.63
H 3.956 1.092 -0.309 -0.03
H 4.685 -0.440 -0.567 0.16
H 5.832 2.177 -1.571 0.26
H 6.595 0.570 -1.840 0.36
H 7.549 0.578 0.067 0.29
H 3.179 0.305 -2.235 0.36
C 1.697 -0.852 -7.019 -0.66
C 2.761 -0.624 -5.897 -0.48
O 2.309 -0.527 -4.575 -0.35
O 0.666 0.117 -7.217 -0.59
H 1.142 -1.634 -6.492 0.20
H 2.247 -1.255 -7.867 0.37
H 3.330 0.236 -6.258 0.37
H 3.495 -1.427 -5.994 0.41
H 2.969 -0.784 -3.926 0.12
H 0.182 0.233 -6.393 0.54
C -0.628 5.282 1.650 -0.25
C -0.279 4.456 2.851 -0.02
O -0.869 3.164 2.812 -0.16
O 0.197 6.465 1.533 -0.59
H -1.618 5.736 1.708 0.18
H -0.519 4.750 0.704 0.27
H -0.670 5.083 3.657 0.19
H 0.755 4.236 3.118 -0.09
H -1.740 3.160 2.400 0.03
H 0.554 6.489 0.643 0.32
C -2.326 -4.178 3.271 -0.66
C -3.106 -3.423 2.176 0.56
O -3.564 -4.236 1.104 -0.84
O -3.090 -4.356 4.484 -0.60
H -1.332 -3.865 3.591 0.40
H -2.148 -5.217 2.987 0.14
H -2.436 -2.670 1.760 -0.52
H -3.866 -2.893 2.752 0.69
H -4.445 -4.534 1.349 0.33
H -2.531 -4.126 5.229 0.33
C 5.705 5.150 0.655 -0.36
C 4.355 4.826 1.345 0.15
O 3.429 4.382 0.309 -0.58
O 6.612 5.820 1.590 -0.59
H 5.648 5.691 -0.288 0.32
H 6.236 4.221 0.440 0.08
H 4.007 5.628 2.000 0.34
H 4.602 4.166 2.180 0.03
H 2.893 3.637 0.594 0.26
H 7.168 5.152 1.996 0.32
C 2.287 1.049 3.031 0.27
C 2.591 1.915 4.268 -0.55
O 3.958 1.878 4.682 -0.62
O 3.236 1.506 2.076 -0.23
H 1.255 1.259 2.748 -0.30
H 2.426 -0.007 3.271 0.34
H 1.973 1.627 5.121 0.55
H 2.411 2.971 4.061 0.11
H 4.035 2.415 5.473 0.34
H 4.035 1.538 2.613 0.24
C -0.950 0.892 -3.423 0.28
C -2.259 1.512 -3.850 -0.85
O -3.228 0.488 -4.016 -0.48
O -0.305 0.519 -4.640 -0.49
H -1.115 0.037 -2.767 0.17
H -0.298 1.608 -2.921 0.11
H -2.223 2.121 -4.755 0.35
H -2.560 2.314 -3.173 0.29
H -2.872 -0.178 -4.610 0.31
H 0.528 0.085 -4.418 0.19
C -0.456 -6.496 0.225 0.14
C -1.146 -5.626 -0.833 -0.30
O -1.246 -4.314 -0.340 -0.22
O -0.508 -7.902 -0.015 -0.59
H -1.041 -6.410 1.142 -0.15
## Worked solution
[1]
The molecule C3H8O4, computed with ωB97M-V/def2-TZVPD.

* relative energy (zero: lowest compared OMol25 entry of this formula, charge and spin): 1.137 eV
* lowest unoccupied orbital energy: 0.84 eV
* frontier orbital gap: 10.980 eV
* SMILES: OCCOC(O)O
* spin multiplicity: 1
* HOMO energy: -10.1 eV

```
15
Properties=species:S:1:pos:R:3:nbo_charge:R:1
O 1.395 0.608 1.393 -0.72
C 1.794 0.080 0.151 -0.08
C 0.682 0.085 -0.905 -0.10
O -0.387 -0.772 -0.542 -0.57
C -1.639 -0.141 -0.222 0.62
O -2.587 -1.123 -0.145 -0.70
O -1.446 0.553 0.949 -0.73
H 1.046 1.500 1.263 0.47
H 2.656 0.630 -0.251 0.16
H 2.093 -0.950 0.352 0.19
H 0.314 1.107 -1.051 0.17
H 1.090 -0.284 -1.853 0.19
H -1.964 0.576 -0.989 0.14
H -2.235 -1.855 0.385 0.48
H -0.812 -0.015 1.464 0.49
```

***

[2]
The molecule C5H9N2, computed with ωB97M-V/def2-TZVPD.

* relative energy (zero: lowest compared OMol25 entry of this formula, charge and spin): 0.931 eV
* lowest unoccupied orbital energy (spin up / spin down): 1.11 / 1.08 eV
* frontier orbital gap (spin up / spin down): 5.214 / 9.048 eV
* spin multiplicity: 2
* HOMO energy (spin up / spin down): -4.1 / -8.0 eV

```
16
Properties=species:S:1:pos:R:3:mulliken_spin:R:1
C -0.977 -0.319 -1.957 0.00
C -0.358 -1.060 -0.801 0.01
C -0.010 -0.268 0.358 -0.02
C -0.586 0.873 0.819 0.03
N 0.424 1.526 1.522 0.10
C 1.499 0.638 1.619 0.66
N 1.277 -0.494 1.006 0.22
H -1.492 0.588 -1.624 0.00
H -0.174 0.018 -2.608 0.00
H -1.788 -0.818 -2.564 0.00
H 0.468 -1.655 -1.180 0.00
H -1.083 -1.762 -0.461 0.00
H -1.627 1.131 0.625 0.00
H 0.120 2.015 2.272 0.02
H 2.438 0.885 2.142 0.00
H 1.869 -1.300 0.832 -0.01
```

***

[3]
A cluster of 13 separate species, C26H78O26 in total, computed with ωB97M-V/def2-TZVPD.

* relative energy (zero: lowest compared OMol25 entry of this formula, charge and spin): 5.191 eV
* lowest unoccupied orbital energy: 0.27 eV
* frontier orbital gap: 9.875 eV
* spin multiplicity: 1
* HOMO energy: -9.6 eV

```
130
Properties=species:S:1:pos:R:3:mulliken_charge:R:1
C 4.651 0.575 -0.970 0.12
C 6.059 1.205 -1.134 -0.49
O 6.948 1.324 0.004 -0.54
O 4.133 0.185 -2.257 -0.63
H 3.956 1.092 -0.309 -0.03
H 4.685 -0.440 -0.567 0.16
H 5.832 2.177 -1.571 0.26
H 6.595 0.570 -1.840 0.36
H 7.549 0.578 0.067 0.29
H 3.179 0.305 -2.235 0.36
C 1.697 -0.852 -7.019 -0.66
C 2.761 -0.624 -5.897 -0.48
O 2.309 -0.527 -4.575 -0.35
O 0.666 0.117 -7.217 -0.59
H 1.142 -1.634 -6.492 0.20
H 2.247 -1.255 -7.867 0.37
H 3.330 0.236 -6.258 0.37
H 3.495 -1.427 -5.994 0.41
H 2.969 -0.784 -3.926 0.12
H 0.182 0.233 -6.393 0.54
C -0.628 5.282 1.650 -0.25
C -0.279 4.456 2.851 -0.02
O -0.869 3.164 2.812 -0.16
O 0.197 6.465 1.533 -0.59
H -1.618 5.736 1.708 0.18
H -0.519 4.750 0.704 0.27
H -0.670 5.083 3.657 0.19
H 0.755 4.236 3.118 -0.09
H -1.740 3.160 2.400 0.03
H 0.554 6.489 0.643 0.32
C -2.326 -4.178 3.271 -0.66
C -3.106 -3.423 2.176 0.56
O -3.564 -4.236 1.104 -0.84
O -3.090 -4.356 4.484 -0.60
H -1.332 -3.865 3.591 0.40
H -2.148 -5.217 2.987 0.14
H -2.436 -2.670 1.760 -0.52
H -3.866 -2.893 2.752 0.69
H -4.445 -4.534 1.349 0.33
H -2.531 -4.126 5.229 0.33
C 5.705 5.150 0.655 -0.36
C 4.355 4.826 1.345 0.15
O 3.429 4.382 0.309 -0.58
O 6.612 5.820 1.590 -0.59
H 5.648 5.691 -0.288 0.32
H 6.236 4.221 0.440 0.08
H 4.007 5.628 2.000 0.34
H 4.602 4.166 2.180 0.03
H 2.893 3.637 0.594 0.26
H 7.168 5.152 1.996 0.32
C 2.287 1.049 3.031 0.27
C 2.591 1.915 4.268 -0.55
O 3.958 1.878 4.682 -0.62
O 3.236 1.506 2.076 -0.23
H 1.255 1.259 2.748 -0.30
H 2.426 -0.007 3.271 0.34
H 1.973 1.627 5.121 0.55
H 2.411 2.971 4.061 0.11
H 4.035 2.415 5.473 0.34
H 4.035 1.538 2.613 0.24
C -0.950 0.892 -3.423 0.28
C -2.259 1.512 -3.850 -0.85
O -3.228 0.488 -4.016 -0.48
O -0.305 0.519 -4.640 -0.49
H -1.115 0.037 -2.767 0.17
H -0.298 1.608 -2.921 0.11
H -2.223 2.121 -4.755 0.35
H -2.560 2.314 -3.173 0.29
H -2.872 -0.178 -4.610 0.31
H 0.528 0.085 -4.418 0.19
C -0.456 -6.496 0.225 0.14
C -1.146 -5.626 -0.833 -0.30
O -1.246 -4.314 -0.340 -0.22
O -0.508 -7.902 -0.015 -0.59
H -1.041 -6.410 1.142 -0.15